-- Excerpt --
~~~
Entry 1:
Here is crystalline Tb2YAu at its relaxed geometry from Alexandria via LeMat-Bulk. Energies are from PBE.

a b c (Å): 3.6394 3.6394 8.5046
angles (deg): 90.00 90.00 90.00
With the nearest neighbours (Å) after each atom.
Space group P4/mmm (No. 123)
One atom of each set of equivalent atoms:
Tb1 0.0000 0.0000 0.2063 [2 per cell]  4 Au 3.11
Y1 0.5000 0.5000 0.5000 [1 per cell]  8 Tb 3.59, 4 Y 3.64
Au1 0.5000 0.5000 0.0000 [1 per cell]  8 Tb 3.11

Properties
**E_form**: -0.3896 eV/atom
**Polymorph energy (0 for the lowest one)**: 56.0 meV per atom



Entry 2:
Here is crystalline GaNi2Pt8 at its relaxed geometry from Alexandria via LeMat-Bulk. Energies are from PBE.

a b c (Å): 11.6423 6.8879 4.5980
angles (deg): 90.00 105.18 90.00
With the nearest neighbours (Å) after each atom.
Space group C2/m (No. 12)
One atom of each set of equivalent atoms:
Ga1 0.0000 0.0000 0.0000 [2 per cell]  2 Ni 2.40, 6 Pt 2.51-2.52
Ni1 0.1189 0.0000 0.5120 [4 per cell]  1 Ga 2.40, 5 Pt 2.54-2.61
Pt1 0.0711 0.3004 0.7902 [8 per cell]  1 Ga 2.51, 1 Ni 2.57, 5 Pt 2.70-2.81
Pt2 0.1490 0.5000 0.3436 [4 per cell]  1 Ni 2.61, 8 Pt 2.71-2.83
Pt3 0.2222 0.0000 0.0724 [4 per cell]  1 Ga 2.52, 2 Ni 2.54-2.61, 6 Pt 2.70-2.80

Properties
**E_form**: 0.0911 eV/atom
**Polymorph energy (0 for the lowest one)**: 265.8 meV per atom



Entry 3:
Here is crystalline CaAl2P at its relaxed geometry from Alexandria via LeMat-Bulk. Energies are from PBE.

a b c (Å): 5.5697 10.7285 3.6625
angles (deg): 90.00 129.65 90.00
With the nearest neighbours (Å) after each atom.
Space group C2/m (No. 12)
One atom of each set of equivalent atoms:
Ca1 0.0000 0.0000 0.0000 [2 per cell]  4 P 2.78-2.86, 4 Al 3.02
Al1 0.2500 0.2500 0.0000 [4 per cell]  4 Al 2.78-2.86, 2 Ca 3.02, 2 P 3.02
P1 0.0000 0.5000 0.0000 [2 per cell]  4 Ca 2.78-2.86, 4 Al 3.02

Properties
**E_form**: -0.1675 eV/atom



Entry 4:
Here is crystalline PdSe3Cl at its relaxed geometry from Alexandria via LeMat-Bulk. Energies are from PBE.

a b c (Å): 4.9688 4.9688 4.9688
angles (deg): 90.00 90.00 90.00
With the nearest neighbours (Å) after each atom.
Space group Pm-3m (No. 221)
One atom of each set of equivalent atoms:
Pd1 0.0000 0.0000 0.0000 [1 per cell]  6 Se 2.48
Se1 0.0000 0.0000 0.5000 [3 per cell]  2 Pd 2.48
Cl1 0.5000 0.5000 0.5000 [1 per cell]  12 Se 3.51

Properties
**Formation energy without anion corrections**: 538 meV per atom
**Polymorph energy (0 for the lowest one)**: 474.4 meV per atom



Entry 5:
Here is crystalline Sr2ReBiO8 at its relaxed geometry from Alexandria via LeMat-Bulk. Energies are from PBE.

a b c (Å): 5.3181 5.3266 6.7470
angles (deg): 90.53 90.62 92.32
With the nearest neighbours (Å) after each atom.
Space group P-1 (No. 2)
One atom of each set of equivalent atoms:
Sr1 0.0120 0.0114 0.2589 [2 per cell]  6 O 2.42-2.55
Re1 0.5000 0.5000 0.5000 [1 per cell]  6 O 1.85-1.95
Bi1 0.5000 0.5000 0.0000 [1 per cell]  2 O 2.02
O1 0.2279 0.2250 0.9912 [2 per cell]  1 Bi 2.02
O2 0.2507 0.2480 0.5158 [2 per cell]  1 Re 1.85
O3 0.3171 0.6559 0.2851 [2 per cell]  1 Re 1.95
O4 0.3412 0.6805 0.7141 [2 per cell]  1 Re 1.95

Properties
**Formation energy without anion corrections**: -1726 meV per atom



Entry 6:
Here is crystalline BeNb2Al at its relaxed geometry from Alexandria via LeMat-Bulk. Energies are from PBE.

a b c (Å): 3.9817 3.9817 3.8985
angles (deg): 90.00 90.00 90.00
With the nearest neighbours (Å) after each atom.
Space group P4/mmm (No. 123)
One atom of each set of equivalent atoms:
Be1 0.0000 0.0000 0.0000 [1 per cell]  8 Nb 2.79, 4 Al 2.82
Nb1 0.0000 0.5000 0.5000 [2 per cell]  4 Be 2.79, 4 Al 2.79, 4 Nb 2.82
Al1 0.5000 0.5000 0.0000 [1 per cell]  8 Nb 2.79, 4 Be 2.82

Properties
**E_form**: -0.1289 eV/atom
**Polymorph energy (0 for the lowest one)**: 92.2 meV per atom



Entry 7:
Here is crystalline Re2SeBr at its relaxed geometry from Alexandria via LeMat-Bulk. Energies are from PBE.

a b c (Å): 3.1461 3.1461 6.4965
angles (deg): 90.00 90.00 90.00
~~~
-- Brief --
It remains to say how many lines of the notes earlier on hold the word "Ca1", as a bare number.
-- Outcome --
1